If you’ve been in business for any period, you will quickly realize that duplicate records can happen in any CRM product. Unfortunately, Salesforce is not unique in this problem.
There are many ways that duplicates find their way into your data system. For example, they can be created by personnel entering data into the system, an automated process that creates records based on some criteria, customers entering duplicate information on a web-to-lead process, insufficient data from a third-party vendor, etc.
As a result, several common problems arise that will cause chaos in any business or organization:
- Increased spend of marketing dollars for the same Account
- Wasted money spent on data storage space that isn’t needed
- Broken or flawed communications with customers or donors
- The appearance of aggressive agents or just disorganization as a whole, thus resulting in lost or reduced sales/donations
- Staff turmoil regarding commission conflicts, delivery dates, and so much more
- Etcetera.
Today, we will talk about a six-phase process to get your organization cleaned up and functioning correctly.
The steps that we look at include:
- Determine how the duplicates got there in the first place
- Data Requirements
- Process Requirements
- Tooling Selection
- Implementation
- Ongoing Maintenance
1. Determine how the duplicates got there in the first place:
Once you have duplicates in a Salesforce object (Contact, Account, Product, Leads, and Opportunities), determine how it got there. Here are a few areas to look at:
- Are there any automated processes in your system that are creating records?
- Do you buy data from a third-party vendor who may be providing duplicate records?
- Do you currently allow web-to-lead transactions from your website without active duplication rules?
- Are personnel appropriately trained on how to identify duplicate records?
- Are you and your team up to date on Salesforce best practices? If you don’t know what they are or need a refresher, take a look at this link on Trailhead. You’ll need to schedule 45 to 60 minutes to get through it.
If you can determine how the duplicates are getting into your system in the first place, you can eliminate a lot of copies before they get out of hand.
2. Data Requirements:
What are the objects that Salesforce recommends you should focus on first:
- Business accounts
- Contacts
- Leads
+++
1.
VASP calculation (PBE with a Hubbard U) on crystalline K2W3O10 at its relaxed geometry.

Lattice parameters (Å, degrees): 3.8883 11.2937 33.2006 70.71 90.00 90.00
Last column: nearest neighbours and their distance in Å.
Sites, in units of the cell vectors:
1 K 0.5160 0.3642 0.0475  4 O 2.73-2.88
2 K 0.5051 0.7143 0.6520  7 O 2.83-3.12
3 K 0.5357 0.1132 0.1524  4 O 2.75-3.07
4 K 0.5357 0.8868 0.3476  4 O 2.75-3.07
5 K 0.5051 0.2857 0.8480  7 O 2.83-3.12
6 K 0.5160 0.6358 0.4525  4 O 2.73-2.88
7 K 0.4840 0.3642 0.5475  4 O 2.73-2.88
8 K 0.4949 0.7143 0.1520  7 O 2.83-3.12
9 K 0.4643 0.1132 0.6524  4 O 2.75-3.07
10 K 0.4643 0.8868 0.8476  4 O 2.75-3.07
11 K 0.4949 0.2857 0.3480  7 O 2.83-3.12
12 K 0.4840 0.6358 0.9525  4 O 2.73-2.88
13 W 0.9669 0.5980 0.8489  4 O 1.81-2.01
14 W 0.0373 0.9939 0.4486  3 O 1.78-1.89
15 W 0.0349 0.1527 0.2643  4 O 1.79-1.95
16 W 0.0307 0.7069 0.5543  4 O 1.80-2.01
17 W 0.0293 0.5000 0.7500  6 O 1.86-2.03
18 W 0.0307 0.2931 0.9457  4 O 1.80-2.01
19 W 0.9669 0.4020 0.6511  4 O 1.81-2.01
20 W 0.0349 0.8473 0.2357  4 O 1.79-1.95
21 W 0.0373 0.0061 0.0514  3 O 1.78-1.89
22 W 0.9627 0.9939 0.9486  3 O 1.78-1.89
23 W 0.9651 0.1527 0.7643  4 O 1.79-1.95
24 W 0.0331 0.5980 0.3489  4 O 1.81-2.01
25 W 0.9693 0.7069 0.0543  4 O 1.80-2.01
26 W 0.9707 0.5000 0.2500  6 O 1.86-2.03
27 W 0.9693 0.2931 0.4457  4 O 1.80-2.01
28 W 0.9651 0.8473 0.7357  4 O 1.79-1.95
29 W 0.9627 0.0061 0.5514  3 O 1.78-1.89
30 W 0.0331 0.4020 0.1511  4 O 1.81-2.01
31 O 0.9965 0.8393 0.5895  1 W 1.89
32 O 0.4822 0.5845 0.8486  2 W 1.89-2.01
33 O 0.0113 0.3353 0.1084  1 W 1.81
34 O 0.9939 0.6820 0.7296  2 W 1.95
35 O 0.0148 0.2500 0.1971  1 W 1.88
36 O 0.0026 0.8796 0.5091  2 W 2.00-2.03
37 O 0.5194 0.9950 0.4529  2 W 1.88-2.02
38 O 0.5207 0.1579 0.2594  2 W 1.89-2.01
39 O 0.0205 0.0743 0.3207  1 W 1.79
40 O 0.0142 0.3820 0.9818  1 W 1.80
41 O 0.9942 0.4956 0.8079  2 W 1.91-2.06
42 O 0.9998 0.4189 0.8922  2 W 1.88-2.06
43 O 0.5141 0.7180 0.5560  2 W 1.89-2.01
44 O 0.0180 0.8928 0.4174  1 W 1.78
45 O 0.5067 0.5000 0.7500  2 W 1.86-2.03
46 O 0.0108 0.0000 0.2500  2 W 1.94
47 O 0.5141 0.2820 0.9440  2 W 1.89-2.01
48 O 0.9998 0.5811 0.6078  2 W 1.88-2.06
49 O 0.9942 0.5044 0.6921  2 W 1.91-2.06
50 O 0.0180 0.1072 0.0826  1 W 1.78
51 O 0.0142 0.6180 0.5182  1 W 1.80
52 O 0.0026 0.1204 0.9909  2 W 2.00-2.03
53 O 0.9939 0.3180 0.7704  2 W 1.95
54 O 0.4822 0.4155 0.6514  2 W 1.89-2.01
55 O 0.0205 0.9257 0.1793  1 W 1.79
56 O 0.5207 0.8421 0.2406  2 W 1.89-2.01
57 O 0.9965 0.1607 0.9105  1 W 1.89
58 O 0.5194 0.0050 0.0471  2 W 1.88-2.02
59 O 0.0148 0.7500 0.3029  1 W 1.88
60 O 0.0113 0.6647 0.3916  1 W 1.81
61 O 0.9887 0.3353 0.6084  1 W 1.81
62 O 0.9852 0.2500 0.6971  1 W 1.88
63 O 0.4806 0.9950 0.9529  2 W 1.88-2.02
64 O 0.0035 0.8393 0.0895  1 W 1.89
65 O 0.4793 0.1579 0.7594  2 W 1.89-2.01
66 O 0.9795 0.0743 0.8207  1 W 1.79
67 O 0.5178 0.5845 0.3486  2 W 1.89-2.01
68 O 0.0061 0.6820 0.2296  2 W 1.95
69 O 0.9974 0.8796 0.0091  2 W 2.00-2.03
+++
- Person accounts
- Records created from custom objects
Since you are looking at the individual objects (Account, Contact, etc.), you also want to determine if yous should look across objects, such as the Contact to the Account, or both.
3. Process Requirements:
Before starting the process, it is essential to ask yourself these basic questions:
- Do I need only a one-time cleanup, prevention, or both?
- Can one tool do everything I need, or do I need to look into multiple deduping solutions?
- Can I automate the process? If so, how often will I need to run it?
- Who needs to have access to the data? What happens if a merge is required (this process is usually irreversible)? What are the current merging rules that are in place for my organization? Will the staff be available when the process is running?
- How are new records created in my organization?
- Are there any compliance and legal issues (record retention guidelines, GDPR)?
- How much is my budget?
- What are the primary goals I’m trying to accomplish by performing a deduplication process?
4. Tooling Selection:
Salesforce offers a Duplicate management tool available to and free of charge for Professional, Enterprise, and Unlimited Editions.
In addition to the Salesforce tools, other tools are available on the App Exchange. At the time of this writing, these are the top ten:
- DupeCatcher: prevent duplicates in real-time
- Duplicate Check for Salesforce: Duplicate Management made easy
- Cloudingo: Remove duplicates and improve data quality
- RingLead Real-Time Dedupe, Lead to Account Routing, Sales Intelligence Platform
- Dedupely: Find and bulk-merge duplicate contacts, accounts & leads in Salesforce
- Lingk Ultimate Data Loader and Dedup
- DQ*Plus: Address Verification, Data Cleansing, Duplicate Record Match, and Merge
- Deduplicate, Import, Format, and Cleanse your CRM data
- Smart Duplicate Manager | Salesforce Duplicate Management made-easy
- Duplicate Management by Machine Learning | DataGroomr Deduplication
Different pricing plans apply for each one of the products listed above; some are free, some charge X per month for the entire organization, and others are a flat fee.
5. Implementation:
Start slow once you have selected the tool or process you will use. Check your work as you go through the process. Do not automate anything until you get everything dialed in.
Remember, if you are performing a merge on any records, you won’t be able to undo it as quickly as you merged it. You may have to refer to the backup you created at the beginning. Make sure you know how to find the data.
6. Ongoing Maintenance:
There is no such thing as a one-time cleanup. Chances are very likely that even though you took precautions to prevent duplicates, they will happen again.
To keep duplications down going forward, you will need regular maintenance on your organization. It may be weekly in the beginning and then progressively less often as you improve your data quality.
In Conclusion:
Getting rid of duplicates is not easy. It’s complicated and requires thoughtful planning, time, and training. Additionally, you will need a lot of patience. However, from those of us who have had to do this, here are a few recommendations:
- Before you do anything, make sure you have a good backup.
- It’s not an overnight fix. It took a while to get into the state it is in; it’s probably going to take a bit to get it out.
- Use the built-in Salesforce deduping processes as much as possible; things like using the deduping rules, etc., can save you a lot of grief in the long run.
- Take the time to learn about your environment.
- Know who can change data and who can’t.
- Take a lot of notes.
- Be prepared to ask questions.
- Don’t be overly tired when you do this; it can lead to mistakes.
- If you are merging data in your production environment, it is best to do it at night or on weekends when activity is low in the org.
- Merges are best to be avoided if possible. Inevitably, you will ‘futz’ something up, so make sure you know what you expect to see after a merge is completed on a record.
You may need a salesforce consultant to help you with this, and in those instances, you may want to try Intrinsic Data Solutions, Inc. Call us at 208.391.0898 or fill out any Contact-Us forms on our website.
Do you have any suggestions or experiences that you would like to relay to our readers? Comment below.
Salesforce Ben: https://www.salesforceben.com/salesforce-duplicate-management-5-phase-process-to-deduplicating-your-salesforce-org-data/
Idealist Consulting: https://idealistconsulting.com/blog/salesforce-admins-guide-deduplication. She offers some great resources and advice not covered here.